Request:
It remains to say how many lines of the material underneath hold the word "fractional", as a bare number.
Entries:
- - -
# Ba2YCu3Pb2O8
Simulated X-ray powder pattern, a wavelength of 1.5418 Å. Input: DFT lattice parameters and positions (PBE).
Neutral-atom scattering factors, no anomalous dispersion.

```
Ba2YCu3Pb2O8
1.0
3.921 0.000 0.000
0.000 3.875 0.000
-0.315 0.000 16.545
Ba Y Cu Pb O
2 1 3 2 8
Cartesian
-0.027 0.000 3.695
3.634 0.000 12.850
0.000 0.000 0.000
-0.157 0.000 8.272
1.670 1.937 14.924
1.936 1.937 1.621
1.735 1.937 10.064
1.872 1.937 6.481
-0.026 1.937 1.454
3.632 1.937 15.091
0.368 0.000 6.492
1.680 1.937 12.273
1.666 0.000 15.105
1.940 0.000 1.440
1.927 1.937 4.272
3.238 0.000 10.053
```

Principal peaks in the range 10° ≤ 2θ ≤ 80°, by angle:
2θ = 26.94°, I = 14.6, (0 0 5); 2θ = 31.13°, I = 32.8, (1 0 -4); 2θ = 31.64°, I = 64.1, (0 1 4); 2θ = 31.74°, I = 33.5, (1 0 4); 2θ = 32.49°, I = 100.0, (1 1 0); 2θ = 42.40°, I = 14.2, (1 1 -5); 2θ = 42.99°, I = 13.3, (1 1 5); 2θ = 46.31°, I = 22.9, (2 0 0); 2θ = 46.90°, I = 25.6, (0 2 0); 2θ = 57.56°, I = 13.1, (2 1 4)

----------

(1)
Calculated powder XRD pattern
Compound: VIO7
Radiation: CuKα
Structure: a GGA+U-relaxed structure
Lines closer than 0.1° are merged.

Principal peaks in the range 2θ = 15–90°, in order of falling intensity:
Position (°2θ)	I_rel
27.41	100
22.94	62
28.23	59
28.97	59
25.76	45
33.62	34

Crystal structure
abc: 10.5746 8.3583 6.9978
angles: 90.00 101.34 90.00
Element x y z (fractional)
V (0.2376, 0.1991, 0.4459)
V (0.2376, 0.3009, 0.9459)
V (0.7624, 0.6991, 0.0541)
V (0.7624, 0.8009, 0.5541)
I (0.4809, 0.5205, 0.2609)
I (0.4809, 0.9795, 0.7609)
I (0.5191, 0.0205, 0.2391)
I (0.5191, 0.4795, 0.7391)
O (0.1014, 0.0130, 0.8689)
O (0.1014, 0.4870, 0.3689)
O (0.1030, 0.1054, 0.4283)
O (0.1030, 0.3946, 0.9283)
O (0.1497, 0.6212, 0.3847)
O (0.1497, 0.8788, 0.8847)
O (0.2527, 0.2075, 0.1842)
O (0.2527, 0.2925, 0.6842)
O (0.3675, 0.0497, 0.5193)
O (0.3675, 0.4503, 0.0193)
O (0.3868, 0.0747, 0.9319)
O (0.3868, 0.4253, 0.4319)
O (0.4155, 0.7187, 0.2475)
O (0.4155, 0.7813, 0.7475)
O (0.5845, 0.2187, 0.2525)
O (0.5845, 0.2813, 0.7525)
O (0.6132, 0.5747, 0.5681)
O (0.6132, 0.9253, 0.0681)
O (0.6325, 0.5497, 0.9807)
O (0.6325, 0.9503, 0.4807)
O (0.7473, 0.7075, 0.3158)
O (0.7473, 0.7925, 0.8158)
O (0.8503, 0.1212, 0.1153)
O (0.8503, 0.3788, 0.6153)
O (0.8970, 0.6054, 0.0717)
O (0.8970, 0.8946, 0.5717)
O (0.8986, 0.5130, 0.6311)
O (0.8986, 0.9870, 0.1311)

---

(2)
Calculated powder XRD pattern
Compound: Li2Mn3SbO8
Radiation: CuKα
Structure: a GGA+U-relaxed structure
Lines closer than 0.1° are merged.

Principal peaks in the range 2θ = 15–90°, in order of falling intensity:
Position (°2θ)	I_rel
17.77	100
41.79	52
34.40	50
60.58	32
55.20	21
35.98	18

Crystal structure
abc: 8.6459 8.6459 8.6459
angles: 90.00 90.00 90.00
Element x y z (fractional)
Li (0.0075, 0.0075, 0.0075)
Li (0.2425, 0.2425, 0.2425)
Li (0.2575, 0.7575, 0.7425)
Li (0.4925, 0.9925, 0.5075)
Li (0.5075, 0.4925, 0.9925)
Li (0.7425, 0.2575, 0.7575)
Li (0.7575, 0.7425, 0.2575)
Li (0.9925, 0.5075, 0.4925)
Mn (0.1239, 0.1261, 0.6250)
Mn (0.1250, 0.3761, 0.8739)
Mn (0.1261, 0.6250, 0.1239)
Mn (0.3739, 0.3750, 0.6239)
Mn (0.3750, 0.6239, 0.3739)
Mn (0.3761, 0.8739, 0.1250)
Mn (0.6239, 0.3739, 0.3750)
Mn (0.6250, 0.1239, 0.1261)
Mn (0.6261, 0.8750, 0.8761)
Mn (0.8739, 0.1250, 0.3761)
Mn (0.8750, 0.8761, 0.6261)
Mn (0.8761, 0.6261, 0.8750)
Sb (0.1250, 0.8750, 0.3750)
Sb (0.3750, 0.1250, 0.8750)
Sb (0.6250, 0.6250, 0.6250)
Sb (0.8750, 0.3750, 0.1250)
O (0.1061, 0.1086, 0.3747)
O (0.1077, 0.6077, 0.8923)
O (0.1086, 0.3747, 0.1061)
O (0.1247, 0.6414, 0.3561)
O (0.1253, 0.8939, 0.6086)
O (0.1414, 0.1439, 0.8753)
O (0.1423, 0.3577, 0.6423)
O (0.1439, 0.8753, 0.1414)
O (0.3561, 0.1247, 0.6414)
O (0.3577, 0.6423, 0.1423)
O (0.3586, 0.8561, 0.3753)
O (0.3747, 0.1061, 0.1086)
O (0.3753, 0.3586, 0.8561)
O (0.3914, 0.6253, 0.6061)
O (0.3923, 0.3923, 0.3923)
O (0.3939, 0.8914, 0.8747)
O (0.6061, 0.3914, 0.6253)
O (0.6077, 0.8923, 0.1077)
O (0.6086, 0.1253, 0.8939)
O (0.6253, 0.6061, 0.3914)
O (0.6247, 0.8586, 0.6439)
- - -
Reply:
2